_What to do_
Next, return the whole of the calculation results further down without additions.

_Material_
'''
(i)
Here is a relaxed Sc2SeCl crystal from the Alexandria database. Energies are from PBE.

Results
As for the volume: 20.2 A^3/atom.

abc: 3.626 3.626 6.143
angles: 90.00 90.00 90.00
Space group P4mm (No. 99)
Inequivalent atoms, fractional coordinates:
Sc (0.000, 0.000, 0.000) (multiplicity 1)
Sc (0.500, 0.500, 0.315) (multiplicity 1)
Se (0.000, 0.000, 0.462) (multiplicity 1)
Cl (0.500, 0.500, 0.877) (multiplicity 1)

***

(ii)
Here is a relaxed Sc2SeCl crystal from the Alexandria database. Energies are from PBE.

Results
As for the volume: 26.0 A^3/atom.

abc: 5.914 5.914 11.903
angles: 90.00 90.00 90.00
Space group I-42d (No. 122)
Inequivalent atoms, fractional coordinates:
Sc (0.243, 0.250, 0.125) (multiplicity 8)
Se (0.000, 0.000, 0.500) (multiplicity 4)
Cl (0.000, 0.000, 0.000) (multiplicity 4)

***

Bottom line: (i), by a margin of 31.8 kJ/mol of atoms.

***

(i)
Here is a relaxed Sc2SeCl crystal from the Alexandria database. Energies are from PBE.

Results
As for the volume: 21.9 A^3/atom.

abc: 3.519 6.262 7.944
angles: 90.00 90.00 90.00
Space group Immm (No. 71)
Inequivalent atoms, fractional coordinates:
Sc (0.000, 0.000, 0.250) (multiplicity 4)
Se (0.000, 0.500, 0.000) (multiplicity 2)
Cl (0.000, 0.500, 0.500) (multiplicity 2)

***

(ii)
Here is a relaxed Sc2SeCl crystal from the Alexandria database. Energies are from PBE.

Results
As for the volume: 18.5 A^3/atom.

abc: 6.664 6.664 6.664
angles: 90.00 90.00 90.00
Space group Fm-3m (No. 225)
Inequivalent atoms, fractional coordinates:
Sc (0.250, 0.250, 0.250) (multiplicity 8)
Se (0.000, 0.000, 0.000) (multiplicity 4)
Cl (0.000, 0.000, 0.500) (multiplicity 4)

***

(iii)
Here is a relaxed Sc2SeCl crystal from the Alexandria database. Energies are from PBE.

Results
As for the volume: 18.7 A^3/atom.

abc: 3.352 3.352 6.667
angles: 90.00 90.00 90.00
Space group P4/mmm (No. 123)
Inequivalent atoms, fractional coordinates:
Sc (0.000, 0.000, 0.236) (multiplicity 2)
Se (0.500, 0.500, 0.000) (multiplicity 1)
Cl (0.500, 0.500, 0.500) (multiplicity 1)

***

(iv)
Here is a relaxed Sc2SeCl crystal from the Alexandria database. Energies are from PBE.

Results
As for the volume: 27.4 A^3/atom.

abc: 3.755 11.189 5.216
angles: 90.00 90.00 90.00
Space group Pmn2_1 (No. 31)
Inequivalent atoms, fractional coordinates:
Sc (0.000, 0.032, 0.000) (multiplicity 2)
Sc (0.000, 0.757, 0.203) (multiplicity 2)
Se (0.000, 0.822, 0.703) (multiplicity 2)
Cl (0.000, 0.388, 0.694) (multiplicity 2)

***

Bottom line: (iv), by a margin of 15.2 kJ/mol of atoms.

***

(i)
Here is a relaxed Sc2SeCl crystal from the Alexandria database. Energies are from PBE.

Results
As for the volume: 20.6 A^3/atom.

abc: 3.467 3.649 6.511
angles: 90.00 91.96 90.00
Space group P2/m (No. 10)
Inequivalent atoms, fractional coordinates:
Sc (0.017, 0.000, 0.234) (multiplicity 2)
Se (0.500, 0.500, 0.000) (multiplicity 1)
Cl (0.000, 0.500, 0.500) (multiplicity 1)

***

(ii)
Here is a relaxed Sc2SeCl crystal from the Alexandria database. Energies are from PBE.

Results
As for the volume: 21.0 A^3/atom.

abc: 3.9364 3.9364 18.7590
angles: 90.00 90.00 120.00
Space group R-3m (No. 166, hexagonal axes)
Inequivalent atoms, fractional coordinates:
Sc (0.0000, 0.0000, 0.2346) (multiplicity 6)
Se (0.0000, 0.0000, 0.5000) (multiplicity 3)
Cl (0.0000, 0.0000, 0.0000) (multiplicity 3)

***

(iii)
Here is a relaxed Sc2SeCl crystal from the Alexandria database. Energies are from PBE.

Results
As for the volume: 21.5 A^3/atom.

abc: 7.008 7.008 7.008
angles: 90.00 90.00 90.00
Space group F-43m (No. 216)
Inequivalent atoms, fractional coordinates:
Sc (0.000, 0.000, 0.000) (multiplicity 4)
Sc (0.250, 0.250, 0.250) (multiplicity 4)
Se (0.250, 0.250, 0.750) (multiplicity 4)
Cl (0.000, 0.000, 0.500) (multiplicity 4)

***

Bottom line: (ii), by a margin of 9.8 kJ/mol of atoms.

***

(i)
Here is a relaxed Sc2SeCl crystal from the Alexandria database. Energies are from PBE.

Results
As for the volume: 21.9 A^3/atom.

abc: 7.035 7.954 3.622
'''

_Solution_
(i)
Here is a relaxed Sc2SeCl crystal from the Alexandria database. Energies are from PBE.

Results
As for the volume: 20.2 A^3/atom.

abc: 3.626 3.626 6.143
angles: 90.00 90.00 90.00
Space group P4mm (No. 99)
Inequivalent atoms, fractional coordinates:
Sc (0.000, 0.000, 0.000) (multiplicity 1)
Sc (0.500, 0.500, 0.315) (multiplicity 1)
Se (0.000, 0.000, 0.462) (multiplicity 1)
Cl (0.500, 0.500, 0.877) (multiplicity 1)

***

(ii)
Here is a relaxed Sc2SeCl crystal from the Alexandria database. Energies are from PBE.

Results
As for the volume: 26.0 A^3/atom.

abc: 5.914 5.914 11.903
angles: 90.00 90.00 90.00
Space group I-42d (No. 122)
Inequivalent atoms, fractional coordinates:
Sc (0.243, 0.250, 0.125) (multiplicity 8)
Se (0.000, 0.000, 0.500) (multiplicity 4)
Cl (0.000, 0.000, 0.000) (multiplicity 4)

***

Bottom line: (i), by a margin of 31.8 kJ/mol of atoms.

***

(i)
Here is a relaxed Sc2SeCl crystal from the Alexandria database. Energies are from PBE.

Results
As for the volume: 21.9 A^3/atom.

abc: 3.519 6.262 7.944
angles: 90.00 90.00 90.00
Space group Immm (No. 71)
Inequivalent atoms, fractional coordinates:
Sc (0.000, 0.000, 0.250) (multiplicity 4)
Se (0.000, 0.500, 0.000) (multiplicity 2)
Cl (0.000, 0.500, 0.500) (multiplicity 2)

***

(ii)
Here is a relaxed Sc2SeCl crystal from the Alexandria database. Energies are from PBE.

Results
As for the volume: 18.5 A^3/atom.

abc: 6.664 6.664 6.664
angles: 90.00 90.00 90.00
Space group Fm-3m (No. 225)
Inequivalent atoms, fractional coordinates:
Sc (0.250, 0.250, 0.250) (multiplicity 8)
Se (0.000, 0.000, 0.000) (multiplicity 4)
Cl (0.000, 0.000, 0.500) (multiplicity 4)

***

(iii)
Here is a relaxed Sc2SeCl crystal from the Alexandria database. Energies are from PBE.

Results
As for the volume: 18.7 A^3/atom.

abc: 3.352 3.352 6.667
angles: 90.00 90.00 90.00
Space group P4/mmm (No. 123)
Inequivalent atoms, fractional coordinates:
Sc (0.000, 0.000, 0.236) (multiplicity 2)
Se (0.500, 0.500, 0.000) (multiplicity 1)
Cl (0.500, 0.500, 0.500) (multiplicity 1)

***

(iv)
Here is a relaxed Sc2SeCl crystal from the Alexandria database. Energies are from PBE.

Results
As for the volume: 27.4 A^3/atom.

abc: 3.755 11.189 5.216
angles: 90.00 90.00 90.00
Space group Pmn2_1 (No. 31)
Inequivalent atoms, fractional coordinates:
Sc (0.000, 0.032, 0.000) (multiplicity 2)
Sc (0.000, 0.757, 0.203) (multiplicity 2)
Se (0.000, 0.822, 0.703) (multiplicity 2)
Cl (0.000, 0.388, 0.694) (multiplicity 2)

***

Bottom line: (iv), by a margin of 15.2 kJ/mol of atoms.

***

(i)
Here is a relaxed Sc2SeCl crystal from the Alexandria database. Energies are from PBE.

Results
As for the volume: 20.6 A^3/atom.

abc: 3.467 3.649 6.511
angles: 90.00 91.96 90.00
Space group P2/m (No. 10)
Inequivalent atoms, fractional coordinates:
Sc (0.017, 0.000, 0.234) (multiplicity 2)
Se (0.500, 0.500, 0.000) (multiplicity 1)
Cl (0.000, 0.500, 0.500) (multiplicity 1)

***

(ii)
Here is a relaxed Sc2SeCl crystal from the Alexandria database. Energies are from PBE.

Results
As for the volume: 21.0 A^3/atom.

abc: 3.9364 3.9364 18.7590
angles: 90.00 90.00 120.00
Space group R-3m (No. 166, hexagonal axes)
Inequivalent atoms, fractional coordinates:
Sc (0.0000, 0.0000, 0.2346) (multiplicity 6)
Se (0.0000, 0.0000, 0.5000) (multiplicity 3)
Cl (0.0000, 0.0000, 0.0000) (multiplicity 3)

***

(iii)
Here is a relaxed Sc2SeCl crystal from the Alexandria database. Energies are from PBE.

Results
As for the volume: 21.5 A^3/atom.

abc: 7.008 7.008 7.008
angles: 90.00 90.00 90.00
Space group F-43m (No. 216)
Inequivalent atoms, fractional coordinates:
Sc (0.000, 0.000, 0.000) (multiplicity 4)
Sc (0.250, 0.250, 0.250) (multiplicity 4)
Se (0.250, 0.250, 0.750) (multiplicity 4)
Cl (0.000, 0.000, 0.500) (multiplicity 4)

***

Bottom line: (ii), by a margin of 9.8 kJ/mol of atoms.

***

(i)
Here is a relaxed Sc2SeCl crystal from the Alexandria database. Energies are from PBE.

Results
As for the volume: 21.9 A^3/atom.

abc: 7.035 7.954 3.622